Thursday, July 20, 2017

........
Record 1
## Mg6NbZnO8 (PBE)

Data for Mg6NbZnO8 after structural relaxation.

```
Mg6NbZnO8
1.0
-2.788 6.606 5.033
-3.740 -2.072 0.648
1.679 -1.943 3.480
Mg O Nb Zn
6 8 1 1
Direct
0.256 0.000 0.500
0.256 0.500 0.000
0.500 0.000 0.000
0.744 0.000 0.500
0.500 0.500 0.500
0.744 0.500 0.000
0.262 0.500 0.500
0.500 0.000 0.500
0.257 0.000 0.000
0.743 0.000 0.000
0.000 0.000 0.500
0.000 0.500 0.000
0.738 0.500 0.500
0.500 0.500 0.000
0.000 0.500 0.500
0.000 0.000 0.000
```

Calculated values
* size of the total moment: 0.068 μB/atom
* calculated formation energy: -2.579 eV/atom
* symmetry: P4/mmm, No. 123

---

Record 2
## Mg6NbZnO8 (PBE)

Data for Mg6NbZnO8 after structural relaxation.

```
Mg6NbZnO8
1.0
-7.005 0.839 -5.259
2.193 -1.846 -3.216
-1.410 -3.871 1.260
Nb O Mg Zn
1 8 6 1
Direct
0.500 0.000 0.000
0.500 0.500 0.000
0.000 0.500 0.000
0.758 0.000 0.000
0.242 0.000 0.000
0.748 0.500 0.500
0.252 0.500 0.500
0.500 0.000 0.500
0.000 0.000 0.500
0.244 0.000 0.500
0.756 0.500 0.000
0.756 0.000 0.500
0.500 0.500 0.500
0.000 0.500 0.500
0.244 0.500 0.000
0.000 0.000 0.000
```

Calculated values
* size of the total moment: 0.049 μB/atom
* calculated formation energy: -2.580 eV/atom
* symmetry: P4/mmm, No. 123

---

What did the first record say?
## Mg6NbZnO8 (PBE)

Data for Mg6NbZnO8 after structural relaxation.

```
Mg6NbZnO8
1.0
-2.788 6.606 5.033
-3.740 -2.072 0.648
1.679 -1.943 3.480
Mg O Nb Zn
6 8 1 1
Direct
0.256 0.000 0.500
0.256 0.500 0.000
0.500 0.000 0.000
0.744 0.000 0.500
0.500 0.500 0.500
0.744 0.500 0.000
0.262 0.500 0.500
0.500 0.000 0.500
0.257 0.000 0.000
0.743 0.000 0.000
0.000 0.000 0.500
0.000 0.500 0.000
0.738 0.500 0.500
0.500 0.500 0.000
0.000 0.500 0.500
0.000 0.000 0.000
```

Calculated values
* size of the total moment: 0.068 μB/atom
* calculated formation energy: -2.579 eV/atom
* symmetry: P4/mmm, No. 123

---

Among the records above, which one has the highest size of the total moment? number 1

---

What is the size of the total moment in the first record? 0.068 μB/atom


1.
VASP calculation (GGA-PBE) on a geometry-optimized Na10Ti8Si9S3O48 structure.

Summary:
Electronic total energy, eV per atom: -7.29
Density, g cm⁻³: 2.83
Space group: P1 (1)
E (MP2020), eV per atom: -7.71
DFT formation energy, eV per atom: -2.904

Cell lengths 17.746, 8.888, 22.307 Å; angles 90.05, 89.94, 119.94 degrees
Positions (direct):
Na1 0.318 0.999 0.250
Na2 0.818 0.000 0.250
Na3 0.184 0.994 0.749
Na4 0.684 0.000 0.748
Na5 0.018 0.702 0.581
Na6 0.518 0.702 0.581
Na7 0.018 0.335 0.081
Na8 0.516 0.331 0.082
Na9 0.483 0.665 0.916
Na10 0.350 0.033 0.916
Na11 0.852 0.038 0.915
Na12 0.165 0.303 0.918
Na13 0.484 0.303 0.416
Na14 0.984 0.303 0.416
Na15 0.166 0.030 0.417
Na16 0.666 0.030 0.417
Na17 0.350 0.667 0.417
Na18 0.850 0.667 0.416
Na19 0.002 0.005 0.502
Na20 0.502 0.005 0.502
Na21 0.003 0.994 0.001
Na22 0.505 0.005 0.000
Na23 0.339 0.341 0.832
Na24 0.840 0.345 0.833
Na25 0.337 0.344 0.331
Na26 0.837 0.344 0.331
Na27 0.169 0.664 0.166
........
So much for the calculated crystals.

In Re R.T. (Cal. Supreme Ct. - July 20, 2017)

This seems fine.  I agree with the California Supreme Court that the relevant statute allows kids to be taken away from their parents even if the parent isn't at fault.  The text of the statute sort of says that, and the legislative history makes it clear.  If the kid's in danger, it doesn't matter whether the danger is "because" of the parent.  The state can intervene.

Okay.  That's indeed what the statute says.

But am I really the only one troubled by the consequences -- e.g., the constitutionality -- of such a statutory regime?

That was principally why the one Court of Appeal opinion below held (contrary to today's opinion) that the statute must require fault.  Because to do otherwise, the Court of Appeal thought, might well violate the Due Process Clause.  Can you really take a kid away from the parent when the parent isn't at all at fault?

Let's be clear.  That's precisely what's at stake here.  The minor at issue here is definitely a problem.  She's disobedient, has already had two kids of her own (at 17), throws things at her mother, stays out all night, etc.  Yeah, we want to stop that.

But it's not like the parent doesn't care.  Or doesn't try.  Her hardest, even.  From everything we read in today's opinion, she's trying super hard.  Doing all the things that we'd try as parents.  It's just not working.  (And those of us with children certainly can understand.  We don't have an 100% success rate at everything we try to instill in our children.  Even with respect to the most basic stuff.)

But the California Supreme Court says that doesn't matter.  You can still have your kid taken away from you -- and be declared an "unfit" parent -- even if it's in no way, shape or form your fault.

That's troubling, no?

At least to me.  Apparently not so much to the California Supreme Court.  Because the Court says very very little about that point.  Indeed, it's entire argument in that regard consists of a single paragraph at the end of the opinion.  When, in the context of distinguishing a contrary lower court opinion, the Court basically just concludes that the Due Process Clause isn't violated by taking a kid away from her parents since the statutory regime "includes many subsequent safeguards to ensure that parental rights and authority will be restricted only to the extent necessary for the child‘s safety and welfare" and "is a remarkable system of checks and balances."

That sentiment is small solace, I'd think, to any parent who had their kid taken away from them through what everyone concedes is totally no fault of their own.  As it'd be similarly small solace, I'd imagine, if any of the justices had their own children taken away from them in similar settings.

Which is not to say that I don't get the underlying motivation.  The kid's in trouble.  We need -- or at least want -- to do something.  So even if the parent's not at fault, we may well want to take the kid away.  Because that at least has the possibility of working.

But remember a couple of things.  The first of which is that taking the kid away is hardly a panacea.  Maybe if the results of the juvenile dependency system were uniformly positive I'd take a different view.  But they're not.  A lot of times, kids do worse in that system than with their parents.  And I'd imagine that's even more likely when, as here, the parent is totally trying and is not at all at fault for the minor's delinquency.  So don't for a second think that putting a kid in the "system" means that we are going to solve the problem.  Sometimes it stays the same.  Sometimes it gets even worse.  And the price for all this "progress" (or lack thereof) is inevitably the disruption (or destruction) of a basic and fundamental value:  the relationship between a parent and her child.

And, yes, the system contains a lot of checks and balances.  But, at least until today, one of the most basic of those checks and balances was that kids generally only get taken away when the parent is at fault.  I've read thousands of these cases, and when the kids get taken away, almost invariably, there's parental neglect (drug abuse, violence, etc.) that's a critical component of making that undeniably sad result morally palatable.  Take that way -- take away the need for fault -- and you're taking way what I'd have thought before today was one of the most fundamental of the relevant balances.

Now, I understand that we're trying to do what's best for the kid.  And that's a critical goal.  I too want to try to make every child reach his or her full potential.

But we've got to balance that between (1) the reality that, lots of times, we can't do better than the parents (and, I suspect, there's a darn good chance that the "system" will do no better for the child than her mother has done here), and (2) the devastating consequences to a mother when a child is forcibly removed from her by the state, without her consent, in circumstances in which even the state admits that the mother has done nothing wrong.

Those considerations, at least to me, are worth perhaps a little more than a paragraph of thought and brief platitudes about the "remarkable system of checks and balances" that is the existing dependency regime.

So I think, in short, that I'd take the Due Process argument a bit more seriously, or at least give it more weight, than I think the Court does here.  And maybe even expressly hold that it creates an outside limit on when the state can take children away when, as here, there's no fault at all by the parents.  Unless the state can show that it's likely to do a better job, with some reason to believe that it's efforts at discipline will be more effective than the parent's, I'm super reluctant to say that the Due Process Clause permits the government to take away someone's kid when the parent has done the exact same things that every single one of us would have done under the circumstances.

Food for thought.